An Accident in Broad Daylight

Chapter 31


Two seconds later, YiZhe quickly lowered his head.

Xu Tangcheng opened his mouth and wanted to say something, but saw that he raised his hand and poured himself a whole glass of beer.

He suddenly remembered that a long time ago, he also felt distressed because of a look in YiZhe's eyes. It was also winter. The difference was that that night he wanted to accompany him because of that look, so he wanted to invite him to dinner.

How uncomfortable the beam of the bicycle was, and how beautiful the moonlight was on the path, he still remembered it very clearly.

"Senior, what are you thinking? Are you going back home, or drinking?"

"Huh?" Xu Tangcheng hurriedly recovered, "I don't drink, I'll go home later."

"Then eat quickly," Yu Yan, who was sitting on the side, said immediately and thoughtfully, "The weather is bad tonight, and the forecast says there may be snow. If you want to go home, leave early."

"Yes, yes," Lu Ming agreed, "Senior, eat quickly."

Xu Tangcheng had no thoughts at all, and after YiZhe lowered his head, he never raised his head again. Even if someone spoke to him, he turned his head to answer, completely avoiding Xu Tangcheng's direction.

After the most anticipated large plate chicken came up, someone tasted it and said it was cold. Several people were discussing whether to let the waiter warm it up. But there were too many people in the store at the moment, Lu Ming stood up and called twice, but no one came, so there was a junior who said it was okay, it wasn't particularly cold, so he could make do with it.

Xu Tangcheng also stretched out his chopsticks and was about to take a bite, but was interrupted by a voice that suddenly inserted into the discussion.

"Let's be hot." Yi Che calmly looked at the people at the table, and his eyes swept over Xu Tangcheng, "I'll call the waiter."

After he finished speaking, he got up on his own, called the waiter, and took the chicken away.

Xu Tangcheng held his chopsticks and watched him sit down and continued drinking, as if the episode just happened didn't exist at all.


He finally called him out.

YiZhe stopped for a while, then raised his head to look at him.

"Don't drink too much, you will have to take a car later."

The boy opposite pursed his lips, nodded, and put the beer bottle in his hand back on the table.

The big plate chicken was brought up again, along with one of the shop's signature features, the lump soup. The waiter placed the bowls one by one on the table, and when he picked up the third bowl, he said, "This is without cilantro."

Xu Tangcheng's heart beat one more beat.

He looked in the direction of the waiter, but heard Lu Ming casually say, "Oh, mine."

The waiter handed the bowl to Lu Ming, Xu Tangcheng didn't know why, so he sighed in relief. But before the breath was relieved to the end, the waiter said again, "There is another bowl without cilantro."

In the brief silence on the table, YiZhe raised his hand: "Here."

Hearing his thanks, Xu Tangcheng felt that he didn't have the strength to look over there. He propped his head up, smashed the potato wedges on the plate, bit his lip and lost his mind. After the scene on the table became lively again, he turned his attention to YiZhe.

YiZhe noticed that he was looking at him, and met his gaze unnaturally.

Only the two of them knew what was going on with this bowl of soup.

When ordering, he didn't say it was for Xu Tangcheng, because he thought that if he sat next to him, he would just change it with him without making a sound. But he didn't dare to give it to him when he took over the bowl of soup just now. Now that the two of them are separated by another table, he couldn't pass it secretly.

Xu Tangcheng finally couldn't stand the atmosphere of this meal. Others didn't notice anything, but he knew that he had been wrong from the time he chose the seat. When everyone had almost eaten, and the focus changed from eating to chatting, he proposed to leave first. Yu An took the lead and repeatedly agreed, Xu Tangcheng got up, called Yi Zhe, and walked out with him.

When I went out, I realized that it was really snowing.

On the way back, Xu Tangcheng played relatively brisk music, but he still felt that the space was cramped. Instead, the music played a contrasting role, making his mood even more depressed. He really wanted to apologize to Yi Zhe, and even desperately wanted to apologize to him. But as soon as he apologized and mentioned the reason, it was bound to involve a question that he was afraid to answer.

Compared to him, YiZhe was very calm, and he gently reminded him that the road is not easy to walk, so drive slowly.

It is also snowing at home, and it seems to be a little bigger than Beijing. Xu Tangcheng drove into the yard and saw ruts printed on the snow. Because the snow was relatively large, after a car drove by, the snow covered another layer, and another car drove by, leaving new traces. In this way, the ground looks messy and has no beauty.

Passing by the door of the unit, he found that there was no parking space in front of his building, Xu Tangcheng stopped the car, let YiZhe go down, and then found a place to park by himself.

"I'll follow you," YiZhe said before getting out of the car, "There are so many cars, it's hard to stop, I'll help you watch it."

"No, let's go first," Xu Tangcheng lowered his voice, especially wanting to make YiZhe feel a little better when this bad night was about to end, "It's snowing and it's cold."

YiZhe still didn't move.

Xu Tangcheng urged him again, and Yi Zhe put his hand on the door. But soon, it came back.

"Brother Tang Cheng."

He inhaled, exhaled, and turned to him again.

"Huh?" Xu Tangcheng squeezed out a nasal response.

"I have two things I want to tell you."

Xu Tangcheng listened and unconsciously clenched the steering wheel. At that moment, he realized that he was actually very afraid of YiZhe's showdown with him, and he also found that he was immature in this matter, he didn't want to hurt YiZhe, and he couldn't take that step to accept his Mind. Apart from pretending not to know, and pretending that nothing happened, he had nothing else to do.

But tonight's failed dinner showed him that it was despicable to do so.

He can't really be the same as before, even if he pretends not to know, some subconscious thoughts that are not under his control will always sting that sincere heart.

The blizzard outside is still there, and it seems to be able to pass through the car window, disturbing the fragile calm inside the car.

"Brother Tang Cheng," YiZhe didn't wait for him to speak, he took care of himself and said what he had prepared for a long time, "If I did something wrong before, I hope... you can forgive me once."

He bowed his head, holding the fabric on the other sleeve with one hand.

"I used to be naive, sorry," he looked at Xu Tangcheng, his eyes calm, and even smiled, "I really won't be in the future, I promise."

Yi Zhe kept thinking, maybe Zheng Yikun was right too, if nothing happened, whitewashing the peace is the most peaceful solution in most cases. In this way, no one has to peel off that hot emotion and scrape it off bit by bit. Even, as long as he has a thicker skin, he can still rely on him, relying on his soft heart, secretly ask him for the warmth he wants. But Yizhe didn't want this, he didn't want any fake relationship between the two of them, even after he said it, Xu Tangcheng would only have one-tenth of the kindness he used to be in the past, and he also hoped that this kind of goodness would be his step. Genuinely given to him.

If they have to pretend to each other, he is afraid that he will never realize what is true in his life.

He swore to always be by his side, not just literally. Not to mention thousands of mountains and rivers, even if they were separated by a layer of gauze, even if their heads were bleeding, he would have to pierce the gauze.

He said he had two words to tell him, but he really only said two.

Apologies, promises, no superfluous explanations.

The "I'm sorry" that he didn't say was just said firmly by YiZhe.

Xu Tangcheng watched him open the car door, the black figure melted into the heavy snow, and it took almost all his reason to restrain himself from holding him.

He was still wearing the down jacket he had given him, and when he lowered his head and rubbed it, Xu Tangcheng also followed his gaze. Probably because it has been worn too many times, the cuffs of the down jacket have been worn out with signs of old age, and the fabric on the edge is opened a little, revealing the softness of the plush.

Xu Tangcheng suddenly felt very cold.

He looked at the front quietly, the snow in the sky was lit up by the car lights, and the falling posture was so beautiful, but it still wanted to fall to the ground and finally disappear.

Frustration made him lose his strength completely. After one night, he couldn't hold on anymore and lay on the steering wheel silently. Until a car came from behind, shaking the headlights and honking the horn, urging him to drive away quickly.

After parking the car, Xu Tangcheng really didn't want to go upstairs.

He strolled around the flower pond in the yard, and when he turned to the third circle, the black cat came over with light steps. It stopped two steps away from Xu Tangcheng and made a "meow".

_Unrelated to this page: records of molecules_
=====
# 1
75
Properties=species:S:1:pos:R:3 method="wB97M-V/def2-TZVPD" total_charge=0 e_homo_ev=-7.9 lumo_ev=-1.844 e_above_lowest_kcal_mol=10.0 homo_lumo_gap_ev=6.1
Ta -0.2506 -0.1153 0.0269
O -0.6492 -0.2477 1.8848
O -0.4392 -4.3932 -0.4081
O 0.5199 4.2134 2.6835
O -4.0580 1.3868 -1.3090
O -0.0892 3.0468 5.3487
O -1.2917 0.3597 4.8742
O 0.3117 1.7759 0.7448
N 1.7479 0.1132 -0.4253
N -2.0749 -1.3523 -0.5800
N -1.8477 1.1596 -0.6540
N 0.2677 -2.1935 -0.2072
C 3.6672 0.5280 -1.5161
C -4.3514 -2.8455 -0.9920
C -2.1812 4.6072 0.6960
C 3.9756 0.1870 -0.1685
C -0.2239 2.5089 4.2966
C -0.6539 -3.2046 -0.3636
C -3.2301 -0.7603 -0.8605
C -1.8632 2.6162 -0.5851
C 1.7863 -2.7050 -2.6446
C 3.3045 -3.8279 1.1915
C 0.0232 1.9363 1.9914
C 2.3113 0.5034 -1.6349
C 2.3509 -2.9545 -1.2753
C 1.4689 0.9336 -2.7849
C -0.7665 1.0714 4.0612
C -1.6390 5.3561 -0.3357
C -0.4888 0.8651 2.6561
C 4.1218 -3.8837 0.0752
C 2.0195 -3.3043 1.1108
C -2.0245 -2.6799 -0.5572
C -3.1130 2.4811 1.6287
C 2.6156 -0.2198 1.9560
C 1.1208 -3.3614 2.3178
C 2.8012 -0.0311 0.4860
C 3.6338 -3.4727 -1.1530
C 1.5893 -2.7984 -0.1166
C -3.1108 0.7112 -0.9803
C -1.3366 4.7414 -1.5377
C 0.1874 3.0904 2.9149
C -2.3368 3.2319 0.5767
C -4.3974 -1.4624 -1.0719
C -1.4820 3.3658 -1.6935
C -1.4072 2.7538 -3.0653
C -3.1372 -3.4698 -0.7458
H 1.0755 1.9397 -2.6296
H 1.3514 -3.6284 -3.0396
H -2.7742 1.4586 1.7797
H -4.1630 2.4268 1.3291
H 3.4988 -0.7010 2.3726
H 2.4900 0.7411 2.4635
H 2.0614 0.9476 -3.6996
H 4.3577 0.7919 -2.3038
H -0.8894 3.4129 -3.7623
H 2.5615 -2.3727 -3.3346
H 0.6228 0.2603 -2.9792
H 0.9959 -1.9624 -2.6421
H -3.0182 -4.5430 -0.7058
H 1.7067 -3.3157 3.2359
H -5.2479 -3.4323 -1.1401
H -5.2971 -0.9088 -1.3004
H 1.7647 -0.8408 2.2170
H -2.4997 5.0948 1.6102
H 0.5649 -4.3016 2.3180
H -0.9170 1.7873 -3.0827
H -3.0716 2.9994 2.5875
H -1.0076 5.3332 -2.3840
H 0.3886 -2.5548 2.3482
H 3.6611 -4.2001 2.1460
H 5.1274 -4.2790 0.1569
H 4.9532 0.1305 0.2858
H 4.2487 -3.5660 -2.0415
H -2.4219 2.5983 -3.4424
H -1.5028 6.4236 -0.2184



# 2
13
Properties=species:S:1:pos:R:3 method="wB97M-V/def2-TZVPD" total_charge=0 e_homo_ev=-8.6 smiles="C/C=C/OC" lumo_ev=1.120 e_above_lowest_kcal_mol=31.8 homo_lumo_gap_ev=9.8
O 0.5245 -0.0524 -1.4234
C -0.2995 -0.7205 2.2379
C -0.4118 -0.1229 0.8039
C 0.5040 -0.4602 -0.1219
C -0.1977 1.1759 -1.6057
H 0.0632 1.5878 -2.6097
H -1.2856 0.9504 -1.5057
H 0.1427 1.9105 -0.8155
H -0.6182 -1.7901 2.2868
H 0.7542 -0.6793 2.5497
H 1.3735 -1.1239 0.0508
H -0.9279 -0.2122 2.9513
H -1.2676 0.5420 0.5940



# 3
82
Properties=species:S:1:pos:R:3 method="wB97M-V/def2-TZVPD" total_charge=+1 e_homo_ev=-9.8 lumo_ev=-3.892 e_above_lowest_kcal_mol=35.6 homo_lumo_gap_ev=6.0
La -0.2248 -0.2547 2.0551
Se 2.5860 -1.4420 3.0996
P -1.3798 -2.2694 -3.1667
P -3.8337 -2.6477 -1.1494
C -0.2872 2.4549 0.5194
C 4.9737 -0.1411 2.4630
C 1.1115 2.3546 -3.9329
C 5.4828 0.9876 4.9677
C -0.0253 -3.5044 -2.9472
C 6.3863 1.2119 3.9065
C 6.1075 0.6434 2.6473
C 2.0292 2.1130 2.6460
C 4.0670 -0.3973 3.5276
=====
_So much for the records of molecules_

Xu Tangcheng had nothing in his pocket, thinking that it was probably hungry, so he went back to the car to find out if he had anything to eat. But after searching for a long time, only one packet of biscuits came out.

He is probably really confused now, he actually took the biscuit back, pinched a biscuit with his frozen red fingers, and placed it in front of the black cat.

The black cat came over and sniffed, and then retreated with some disgust. Only then did he seem to take back his brain, and he thought silently, how could cats like to eat biscuits.

There is nowhere to buy ham at this time. Xu Tangcheng squatted down, stretched out a hand in the direction of the black cat, and beckoned: "Come here."

The black cat barked again and turned around in a circle before rubbing past Xu Tangcheng's persevering call.

Xu Tangcheng touched its head and said, "I'm sorry."

But the black cat couldn't understand the apology. Probably only felt that this person was comfortable touching it, so he relaxed his vigilance and closed his eyes.

After saying "I'm sorry", Xu Tangcheng felt even more uncomfortable. He stood up, took out a pack of cigarettes, and walked to the side to take a breath. But just after the fire started, he saw the black cat silently following.

Xu Tangcheng turned off the lighter, put it aside, looked at his cat on the ground, and said, "Go over there, I'm going to smoke."

The black cat tilted its head and then barked at him.

Xu Tangcheng also emphasized: "You can't smoke second-hand smoke, go to the side."

Unfortunately, the persuasion again was ineffective. Xu Tangcheng had to walk to the side again, but when he turned around, the black cat was still following him closely. He looked up at the sky, and finally accepted his fate.

"I'll go to my house to find out if you have something to eat, but there's definitely no ham sausage you like. Let's discuss it, you can make do with it, okay?"

As if he was finally satisfied this time, the black cat took a step back in the darkness.

Zhou Hui helped him find some other intestines, and also gave him some small crucian carp stewed by herself. Xu Tangcheng went downstairs to feed the cat, and seeing that it was delicious, he went to the side to smoke.

Going back again, Zhou Hui brushed off his clothes, which had become wet from too much snow, and asked him why he came back so late.

"It's a little late for dinner."

"Oh," Zhou Hui wiped his down jacket with a dry towel, and hung it up to dry, "Yizhe came back with you?"


"It's good. You used to run back and forth by yourself. I'm not at ease. You two are safer together."

Xu Tangcheng didn't answer, he drank a glass of water and said that he was tired and wanted to wash and sleep.

Zhou Hui, who kept looking at him, asked, "Are you in a bad mood?"

"Huh?" Xu Tangcheng immediately smiled habitually and denied, "No."

"Impossible." Zhou Hui looked at the down jacket hanging over there, "The clothes have become like this, your hands and face are red, you don't know how long you have been downstairs. Besides, I'm a mother, you are It's not that I'm in a bad mood, I can see it at a glance."

Xu Tangcheng laughed and shook his head, not knowing what to say.

"If you're in school, I don't understand, and I can't help you. But if you have any discomfort, you can talk to me." Zhou Hui sighed, "You are a child who likes to hold back since he was a child. Don't say anything. In the eyes of others, it is stable and can handle things, but I'm afraid you will be suffocated."

Zhou Hui'ai's way of thinking, thinking of many consequences from one thing, probably represents many elderly mothers. Knowing that she likes to think wildly, Xu Tangcheng was afraid that she would not sleep well tonight, so he quickly said, "I'm really fine, but I'm a little tired recently."

Zhou Hui was skeptical about his explanation. She stared at Xu Tangcheng's expression for a while, and finally nodded reluctantly: "Well, you'll be fine. If you're tired, take a good rest. I've cleaned up the house this year, and you don't have to do anything."

Xu Tangcheng agreed and went to take a bath. Hearing the small sound from Zhou Hui behind him, and after taking two steps, he suddenly had a tempting idea.

"Mom." He turned around, stopped Zhou Hui, and tried to cover it up in a relaxed tone, and asked, "If I don't get married, what do you think?"

Zhou Hui straightened up, and immediately frowned upon hearing this: "What nonsense are you talking about, how can you not get married?"

After speaking, she thought of something, and suddenly realized: "Did you have a problem with that girl?"

Xu Tangcheng was stunned for a while, not knowing who Zhou Hui was talking about.

"It's Wanzhi, I've been holding back and not asking you, how are you and her?"

Hearing this sentence, Xu Tang Lima felt that the current dialogue was a bit absurd. He lowered his head and sighed, "She and I are really ordinary friends."

Zhou Hui chased after him and wanted to ask, but Xu Tangcheng quickly took his pajamas and hid in the bathroom. But when she was undressing, Zhou Hui was still standing outside the door and said worriedly: "You can't fool around, you have to talk if you don't know how to fall in love. Besides, if you don't get married, I will ask Cheng Cheng's mother to introduce you to someone. "

"Okay, okay, got it."

In fact, he knew better than anyone what his own family was like. This is a very traditional big family, not only my parents, but also other elders. Just throwing out someone who is not married is enough to completely lose the balance of the family for a long time.

Xu Tangcheng supported the sink and washed his face with cold water. He turned on the shower, but he looked at the person in the mirror and didn't move for a long time.